[Request]
Type out the part of the notes below that starts with the line with "2.522, 394" and stops after the one with "4.878, 1000".

[Contents]
For Li3Fe3CoO8, a crystal structure in the Materials Project, relaxed with PBE+U gives the computed powder XRD pattern in this record (Cu Kα, 1.54184 Å).
Kinematic intensities with the Lorentz-polarization factor, no thermal factor.

Crystal structure
Cell: 5.9446 5.9446 5.9446 Å, 59.65 59.65 59.65°
Fractional positions:
1 Li 0.0000 0.5000 0.5000
2 Li 0.5000 0.0000 0.5000
3 Li 0.5000 0.5000 0.0000
4 Fe 0.0000 0.0000 0.5000
5 Fe 0.0000 0.5000 0.0000
6 Fe 0.5000 0.0000 0.0000
7 Co 0.5000 0.5000 0.5000
8 O 0.2428 0.2428 0.2428
9 O 0.2604 0.7275 0.7275
10 O 0.2725 0.2725 0.7396
11 O 0.2725 0.7396 0.2725
12 O 0.7275 0.2604 0.7275
13 O 0.7275 0.7275 0.2604
14 O 0.7396 0.2725 0.2725
15 O 0.7572 0.7572 0.7572

The 10 most intense peaks (10° ≤ 2θ ≤ 90°), sorted by position:
d_spacing, I_rel
4.866, 1000
2.522, 394
2.416, 119
2.096, 672
1.925, 123
1.617, 146
1.486, 176
1.478, 184
1.415, 143
1.208, 82


For Li8Fe9CoO20, a crystal structure in the Materials Project, relaxed with PBE+U gives the computed powder XRD pattern in this record (Cu Kα, 1.54184 Å).
Kinematic intensities with the Lorentz-polarization factor, no thermal factor.

Crystal structure
Cell: 5.9684 2.9562 21.3588 Å, 90.00 97.69 90.00°
Fractional positions:
1 Li 0.0987 0.0000 0.1985
2 Li 0.0992 0.5000 0.7009
3 Li 0.3026 0.0000 0.5951
4 Li 0.3037 0.5000 0.0976
5 Li 0.6963 0.5000 0.9024
6 Li 0.6974 0.0000 0.4049
7 Li 0.9013 0.0000 0.8015
8 Li 0.9008 0.5000 0.2991
9 Fe 0.0000 0.0000 0.0000
10 Fe 0.2102 0.5000 0.9014
11 Fe 0.2148 0.0000 0.4048
12 Fe 0.3974 0.5000 0.3009
13 Fe 0.3997 0.0000 0.7988
14 Fe 0.6003 0.0000 0.2012
15 Fe 0.6026 0.5000 0.6991
16 Fe 0.7852 0.0000 0.5952
17 Fe 0.7898 0.5000 0.0986
18 Co 0.0000 0.5000 0.5000
19 O 0.0266 0.5000 0.5900
20 O 0.0293 0.0000 0.0975
21 O 0.1612 0.0000 0.3059
22 O 0.1640 0.5000 0.8023
23 O 0.2054 0.0000 0.4997
24 O 0.2159 0.5000 0.9984
25 O 0.3632 0.0000 0.7016
26 O 0.3627 0.5000 0.2041
27 O 0.4373 0.5000 0.3968
28 O 0.4375 0.0000 0.8944
29 O 0.5625 0.0000 0.1056
30 O 0.5627 0.5000 0.6032
31 O 0.6368 0.0000 0.2984
32 O 0.6373 0.5000 0.7959
33 O 0.7841 0.5000 0.0016
34 O 0.7946 0.0000 0.5003
35 O 0.8360 0.5000 0.1977
36 O 0.8388 0.0000 0.6941
37 O 0.9707 0.0000 0.9025
38 O 0.9734 0.5000 0.4100

The 10 most intense peaks (10° ≤ 2θ ≤ 90°), sorted by position:
d_spacing, I_rel
4.892, 1000
2.546, 137
2.526, 271
2.424, 80
2.117, 239
2.100, 471
1.934, 131
1.621, 94
1.493, 184
1.488, 131


For Li4Fe3CoO8, a crystal structure in the Materials Project, relaxed with PBE+U gives the computed powder XRD pattern in this record (Cu Kα, 1.54184 Å).
Kinematic intensities with the Lorentz-polarization factor, no thermal factor.

Crystal structure
Cell: 5.9448 5.9448 5.9448 Å, 59.35 59.35 59.35°
Fractional positions:
1 Li 0.0000 0.0000 0.0000
2 Li 0.0000 0.5000 0.5000
3 Li 0.5000 0.0000 0.5000
4 Li 0.5000 0.5000 0.0000
5 Fe 0.0000 0.0000 0.5000
6 Fe 0.0000 0.5000 0.0000
7 Fe 0.5000 0.0000 0.0000
8 Co 0.5000 0.5000 0.5000
9 O 0.2435 0.2435 0.2435
10 O 0.2514 0.7371 0.7371
11 O 0.2629 0.2629 0.7486
12 O 0.2629 0.7486 0.2629
13 O 0.7371 0.2514 0.7371
14 O 0.7371 0.7371 0.2514
15 O 0.7486 0.2629 0.2629
16 O 0.7565 0.7565 0.7565

The 10 most intense peaks (10° ≤ 2θ ≤ 90°), sorted by position:
d_spacing, I_rel
4.878, 1000
2.511, 417
2.407, 136
2.091, 770
1.922, 142
1.616, 141
1.486, 210
1.472, 210
1.409, 142
1.203, 95


For Li2FeCo2O6, a crystal structure in the Materials Project, relaxed with PBE+U gives the computed powder XRD pattern in this record (Cu Kα, 1.54184 Å).
Kinematic intensities with the Lorentz-polarization factor, no thermal factor.

Crystal structure
Cell: 9.9910 4.9275 4.9275 Å, 60.43 90.00 90.00°
Fractional positions:
1 Li 0.2487 0.0863 0.9137
2 Li 0.2513 0.5863 0.4137
3 Li 0.7487 0.4137 0.5863
4 Li 0.7513 0.9137 0.0863
5 Fe 0.0000 0.7506 0.7506
6 Fe 0.5000 0.2506 0.2506
7 Co 0.0000 0.0852 0.0852
8 Co 0.0000 0.4142 0.4142
9 Co 0.5000 0.5852 0.5852
10 Co 0.5000 0.9142 0.9142
11 O 0.0970 0.0889 0.4168
12 O 0.1026 0.4093 0.7425

[Completed]
2.522, 394
2.416, 119
2.096, 672
1.925, 123
1.617, 146
1.486, 176
1.478, 184
1.415, 143
1.208, 82


For Li8Fe9CoO20, a crystal structure in the Materials Project, relaxed with PBE+U gives the computed powder XRD pattern in this record (Cu Kα, 1.54184 Å).
Kinematic intensities with the Lorentz-polarization factor, no thermal factor.

Crystal structure
Cell: 5.9684 2.9562 21.3588 Å, 90.00 97.69 90.00°
Fractional positions:
1 Li 0.0987 0.0000 0.1985
2 Li 0.0992 0.5000 0.7009
3 Li 0.3026 0.0000 0.5951
4 Li 0.3037 0.5000 0.0976
5 Li 0.6963 0.5000 0.9024
6 Li 0.6974 0.0000 0.4049
7 Li 0.9013 0.0000 0.8015
8 Li 0.9008 0.5000 0.2991
9 Fe 0.0000 0.0000 0.0000
10 Fe 0.2102 0.5000 0.9014
11 Fe 0.2148 0.0000 0.4048
12 Fe 0.3974 0.5000 0.3009
13 Fe 0.3997 0.0000 0.7988
14 Fe 0.6003 0.0000 0.2012
15 Fe 0.6026 0.5000 0.6991
16 Fe 0.7852 0.0000 0.5952
17 Fe 0.7898 0.5000 0.0986
18 Co 0.0000 0.5000 0.5000
19 O 0.0266 0.5000 0.5900
20 O 0.0293 0.0000 0.0975
21 O 0.1612 0.0000 0.3059
22 O 0.1640 0.5000 0.8023
23 O 0.2054 0.0000 0.4997
24 O 0.2159 0.5000 0.9984
25 O 0.3632 0.0000 0.7016
26 O 0.3627 0.5000 0.2041
27 O 0.4373 0.5000 0.3968
28 O 0.4375 0.0000 0.8944
29 O 0.5625 0.0000 0.1056
30 O 0.5627 0.5000 0.6032
31 O 0.6368 0.0000 0.2984
32 O 0.6373 0.5000 0.7959
33 O 0.7841 0.5000 0.0016
34 O 0.7946 0.0000 0.5003
35 O 0.8360 0.5000 0.1977
36 O 0.8388 0.0000 0.6941
37 O 0.9707 0.0000 0.9025
38 O 0.9734 0.5000 0.4100

The 10 most intense peaks (10° ≤ 2θ ≤ 90°), sorted by position:
d_spacing, I_rel
4.892, 1000
2.546, 137
2.526, 271
2.424, 80
2.117, 239
2.100, 471
1.934, 131
1.621, 94
1.493, 184
1.488, 131


For Li4Fe3CoO8, a crystal structure in the Materials Project, relaxed with PBE+U gives the computed powder XRD pattern in this record (Cu Kα, 1.54184 Å).
Kinematic intensities with the Lorentz-polarization factor, no thermal factor.

Crystal structure
Cell: 5.9448 5.9448 5.9448 Å, 59.35 59.35 59.35°
Fractional positions:
1 Li 0.0000 0.0000 0.0000
2 Li 0.0000 0.5000 0.5000
3 Li 0.5000 0.0000 0.5000
4 Li 0.5000 0.5000 0.0000
5 Fe 0.0000 0.0000 0.5000
6 Fe 0.0000 0.5000 0.0000
7 Fe 0.5000 0.0000 0.0000
8 Co 0.5000 0.5000 0.5000
9 O 0.2435 0.2435 0.2435
10 O 0.2514 0.7371 0.7371
11 O 0.2629 0.2629 0.7486
12 O 0.2629 0.7486 0.2629
13 O 0.7371 0.2514 0.7371
14 O 0.7371 0.7371 0.2514
15 O 0.7486 0.2629 0.2629
16 O 0.7565 0.7565 0.7565

The 10 most intense peaks (10° ≤ 2θ ≤ 90°), sorted by position:
d_spacing, I_rel
4.878, 1000